Monday, September 28, 2009

Week 6 Totals -September 20 to September 26

Okay...I am still needing some numbers from several of you. I'll be emailing you the chart. Sorry, I can't figure out how to attach that.

Dad 150/1474 (0)*
Mom 45/477 (0)*
Clifton 0/1565 (0/10)
Vonnie 0/775 (0)
Vanessa 0/855 (0)
Tyson 0/1190 (0)
Gracie 335/2410 (75/435)
Doug 225/1125 (0/40)
Bob 0/652 (0/0)
Gerry 0/2323 (0/203)
Lauris 245/1928 (0/10)
Tammy 231/1824 (0/83)
Ian 245/1917 (0/10)
Susan H 0/705 (0/30)*
Eleanor 282/1722 (12/102)*
Bruce 400/2205 (0/0)
Stanley 0/1903 (0/40)

Week 5 Totals -September 13 to September 19

Sorry these are late....Week 5!!!!

Next to the piece, the page also holds crystal structures
<<<
First-principles (GGA+U) data for a relaxed structure of VInCuF6, as listed in Alexandria via LeMat-Bulk.

Lattice parameters (Å, degrees): 5.9308 5.9308 8.4352 90.00 90.00 120.00
Closest atoms and distances in Å follow each position.
Atoms (fractional coordinates):
V 0.3333 0.6667 0.2500  6 F 1.93
V 0.6667 0.3333 0.7500  6 F 1.93
In 0.6667 0.3333 0.2500  6 F 2.63
In 0.3333 0.6667 0.7500  6 F 2.63
Cu 0.0000 0.0000 0.0000  6 F 2.27
Cu 0.0000 0.0000 0.5000  6 F 2.27
F 0.6204 0.7105 0.1199  1 V 1.93
F 0.0901 0.3796 0.1199  1 V 1.93
F 0.3796 0.0901 0.6199  1 V 1.93
F 0.9099 0.6204 0.8801  1 V 1.93
F 0.2895 0.3796 0.3801  1 V 1.93
F 0.0901 0.7105 0.3801  1 V 1.93
F 0.7105 0.0901 0.8801  1 V 1.93
F 0.6204 0.9099 0.3801  1 V 1.93
F 0.9099 0.2895 0.6199  1 V 1.93
F 0.2895 0.9099 0.1199  1 V 1.93
F 0.7105 0.6204 0.6199  1 V 1.93
F 0.3796 0.2895 0.8801  1 V 1.93

Crystal system: trigonal
Calculated volume in Å³/f.u.: 128
Raw total energy in eV/atom: -4.866
Space group: P-31c

* * * * *

# 1
{
  "formula": "La2MgHg4",
  "functional": "PBE",
  "state": "relaxed",
  "cell": [[-0.413, -4.518, -2.375], [3.616, -1.941, 3.062], [-4.177, -5.523, 5.714]],
  "species": ["La", "Hg", "La", "Hg", "Mg", "Hg", "Hg"],
  "frac_coords": [[0.368, 0.368, 0.263], [0.176, 0.176, 0.648], [0.632, 0.632, 0.737], [0.824, 0.824, 0.352], [0.000, 0.000, 0.000], [0.500, 0.000, 0.000], [0.000, 0.500, 0.000]],
  "sg": "I4/mmm (139)",
  "magmom_total_mub_per_cell": 0.00,
  "energy_ev_per_cell": -13.90,
  "density_g_cm3": 8.51,
  "e_form_ev_per_atom": -0.178,
  "n_ef_per_ev_cell": 8.80,
  "relative_energy_ev_per_atom": 0.204
}

# 2
{
  "formula": "In2NiP",
  "functional": "PBE",
  "state": "relaxed",
  "cell": [[3.048, 0.000, 0.000], [0.000, 3.048, 0.000], [0.000, 0.000, 7.818]],
  "species": ["In", "Ni", "In", "P"],
  "frac_coords": [[0.000, 0.000, 0.219], [0.500, 0.500, 0.000], [0.000, 0.000, 0.781], [0.500, 0.500, 0.500]],
  "sg": "P4/mmm (123)",
  "magmom_total_mub_per_cell": 0.00,
  "energy_ev_per_cell": -15.63,
  "density_g_cm3": 7.30,
  "e_form_ev_per_atom": 0.260,
  "n_ef_per_ev_cell": 2.40
}

# 3
{
  "formula": "Si3PtW",
  "functional": "PBE",
  "state": "relaxed",
  "cell": [[-4.611, -0.587, -0.590], [0.809, -2.390, -3.949], [0.194, -3.988, 2.453]],
  "species": ["Pt", "Si", "W", "Si", "Si"],
  "frac_coords": [[0.500, 0.500, 0.500], [0.500, 0.000, 0.000], [0.000, 0.000, 0.000], [0.000, 0.500, 0.000], [0.000, 0.000, 0.500]],
  "sg": "Pm-3m (221)",
  "magmom_total_mub_per_cell": 0.00,
  "energy_ev_per_cell": -30.73,
  "density_g_cm3": 7.47,
  "raw_formation_energy_ev_per_atom": 0.9066,
  "n_ef_per_ev_cell": 2.83,
  "relative_energy_ev_per_atom": 0.000
}

# 4
{
  "formula": "EuTm2C",
  "functional": "PBE",
  "state": "relaxed",
  "cell": [[-1.121, -0.133, -3.347], [0.810, -2.778, -2.025], [-8.232, -5.456, 1.110]],
  "species": ["Eu", "Tm", "C", "Tm"],
  "frac_coords": [[0.000, 0.000, 0.000], [0.879, 0.879, 0.364], [0.500, 0.500, 0.500], [0.121, 0.121, 0.636]],
  "sg": "R-3m (166)",
>>>

Dad 240/1324 (0)*
Mom 65/432 (0)*
Clifton 185/1565 (10/10)
Vonnie 225/775 (0)
Vanessa 260/855 (0)
Tyson 300/1190 (0)
Gracie 365/2000 (40/360)
Doug 0/900 (0/40)
Bob 132/652 (0/0)
Gerry 454/2323 (50/203)
Lauris 325/1683 (0/10)
Tammy 246/1593 (0/83)
Ian 325/1672 (0/10)
Susan H 0/705 (0/30)*
Eleanor 133/1428 (0/85)*
Bruce 180/1805 (0/0)
Stanley 350/1903 (0/40)

Wednesday, September 16, 2009

The Myth About Exercise

Exercising but Not Losing? You may have seen the Time Magazine article entitled "The Myth About Exercise". It concluded that exercise does little to help people lose weight and in fact can cause weight gain in those who feel hungrier after exercise and subsequently "reward" themselves with high calorie foods after their workout. This is old news! Of course you can't lose weight if you only burn 300 calories in a workout and then you eat a 500 calorie muffin. Do the have a net gain of 200 calories. Weight loss is still a matter of calories in versus calories out.

Americans simply eat too much food. So cutting back on your caloric intake is a great strategy to lose weight. But, for BEST overall results, calorie cutting should be combined with a regular exercise routine. Here's why:

· Exercise raises your metabolism while calorie cutting and weight loss lowers metabolism.

· Exercise makes you feel better and will help you manage stress eating and helps you sleep better.

· Exercise builds muscle and helps "reshape" your body after weight loss.

· Exercise can help you get off a weight loss plateau.

· Exercise is THE KEY to maintaining weight loss and preventing weight gain.

· Exercise helps keep your cardiovascular system healthy, keeps bones strong, improves body composition, and prevents all kinds of diseases and conditions.

· Exercise increases insulin sensitivity which is very important in controlling weight, preventing insulin resistance and Type II Diabetes.

Tuesday, September 15, 2009

Week 4 Totals -September 5 to September 12

I'm a bit late getting this posted but here are the results thus far! Still need some of you to report in. The numbers are picking up! Who-hoo!

Well, it has been 4 weeks...this is long enough to now begin to be a habit! How is everyone feeling? Hopefully you are reaping the benefits of consistent exercise. Keep it up!

Dad 0/699 (0)*
Mom 0/137 (0)*
Clifton 450/1380 (10/10)
Vonnie 175/550 (0)
Vanessa 280/595 (0)
Tyson 375/890 (0)
Gracie 290/1595 (50/320)
Doug 245/900 (0/40)
Bob 151/520 (0/0)
Gerry 418/1819 (40/153)
Lauris 342/1358 (0/10)
Tammy 398/1347 (15/83)
Ian 383/1347 (0/10)
Susan H 0/705 (0/30)*
Eleanor 0/1028 (0/85)*
Stanley 705/1553 (0/40)

Monday, September 7, 2009

Week 3 Totals - August 29 - September 5 UPDATED!!!

UPDATE: Got numbers for Tyson. Susie let me know that they won't be able to participate...guess I understand with the little ones to keep up with. Also got totals from Susan H and Stanley. Stanley is working on getting those other Kahler's to participate yet and do a similar challenge in Denver! of now...the dishwasher are Mom, Bob and Vanessa...however, I need to get new numbers from Mom so she may be out of that group soon!

Original post:
Here are the stats for this past week. You know it takes 21 days to make a change. So this means that we are all well on our way to making exercise a daily habit! Keep it up! Mom and Dad have gotten some minutes in and Dad is going to be some real competition. Mom is doing good too with her bike riding and walking with Dad. I know I need to kick up the strength part so will once again aim to do that.

As of this 3rd week looks like our dishwashers are ***drum roll*** Bob, Tyson and Mom. But, all that can change quickly so keep exercising! :)

Dad 220/699 (0)
Mom 0/137 (0)
Clifton 335/920 (0)
Vonnie 115/375 (0)
Brad 0/0 (0) not participating
Susie 0/0 (0) not participating
Vanessa 75/315 (0)
Tyson 230/515 (0)*
Gracie 275/1155 (145/270)
Doug 245/655 (10/40)
Bob 0/259 (0/0)
Gerry 0/855 (0/63)
Lauris 250/1016 (0/10)
Tammy 313/934 (0/68)
Ian 250/964 (0/10)
Susan H 290/705 (10/30)*
Eleanor 328/1028 (15/85)
Stanley 345/848 (0/40) *

Sunday, August 30, 2009

Week 2 Totals - August 23 - 29

Well, the competition is heating up. We still have some people (mom and dad and Brad and Susie and Stanley) that need to turn in their minutes. It is not too late...get them to me soon.
The first number is the total minutes for this week (W) the next number is the overall total(O) so far. In ( ) is the strength minutes for this week (SW) and then the overall strength total (ST) but they are included in W and O totals. Hope that isn't too confusing. Remember the goal is to aim to get at least 3000 cardio minutes and 1500 strength minutes too.

Dad 0/0 (0)
Mom 0/0 (0)
Clifton 200/585 (0)
Vonnie 135/260 (0)
Brad 0/0 (0)
Susie 0/0 (0)
Vanessa 200/240 (0)
Tyson 0/195 (0)
Gracie 370/735 (85/125)
Doug 360/400 (30/30)
Bob 169/259 (0/0)
Gerry 492/855 (63/63)
Lauris 473/766 (10/10)
Tammy 410/621 (10/68)
Ian 413/714 (0/10)
Susan H 0/180 (0/0)
Eleanor 375/685 (30/70)
Stanley 148/463 (20/40)

Week 1 Totals - August 16 - 22

Here are the first weeks cumulative totals, cardio and strength. I will list the strength minutes if you had them but they are included in the total.

Clifton 385
Gracie 365 (40 strength)
Ian 301 (10 strength)
Gerry 300
Lauris 288
Tammy 211 (58 strength)
Vonnie 125
Bob 90
Vanessa 60
Doug 40 Uh-oh so far looks like Doug may be doing dishes! :)
Tyson 195
Brad 0 not reported yet
Susie 0 not reported yet
Susan H 180
Dad 0 not reported yet
Mom 0 not reported yet
Eleanor 270 (40 strength)

Thursday, August 13, 2009

Fitness Challenge

• Next to the text, the page also holds materials data:
[1]
Material: Al3NiPd2
Method: DFT, GGA-PBE
State: relaxed

Energy of formation in eV/atom: -0.788
Symmetry: P4/mmm (123)
Final energy in eV/cell: -32.13
D(E_F) in states/eV per cell: 1.92

abc: 3.0401 3.0401 8.9363
angles: 90.00 90.00 90.00
Atoms (fractional coordinates):
Al1 0.0000 0.0000 0.0000
Al2 0.0000 0.0000 0.6520
Al3 0.0000 0.0000 0.3480
Ni1 0.5000 0.5000 0.5000
Pd1 0.5000 0.5000 0.8275
Pd2 0.5000 0.5000 0.1725


[2]
Material: AlNiPd5
Method: DFT, GGA-PBE
State: relaxed

Energy of formation in eV/atom: -0.151
Symmetry: C2/c (15)
Final energy in eV/cell: -73.09
D(E_F) in states/eV per cell: 13.06

abc: 7.3021 7.3021 7.9789
angles: 47.46 47.46 73.52
Each line ends with the local moment (μB).
Atoms (fractional coordinates):
Al1 0.5505 0.4495 0.2500  -0.01
Al2 0.4495 0.5505 0.7500  -0.01
Ni1 0.0000 0.0000 0.0000  0.68
Ni2 0.0000 0.0000 0.5000  0.68
Pd1 0.6796 0.8925 0.0137  0.10
Pd2 0.2153 0.5340 0.6179  0.04
Pd3 0.8925 0.6796 0.5137  0.10
Pd4 0.8247 0.1753 0.2500  0.09
Pd5 0.4660 0.7847 0.8821  0.04
Pd6 0.5340 0.2153 0.1179  0.04
Pd7 0.1753 0.8247 0.7500  0.09
Pd8 0.1075 0.3204 0.4863  0.10
Pd9 0.7847 0.4660 0.3821  0.04
Pd10 0.3204 0.1075 0.9863  0.10


[3]
Material: AlNi3Pd
Method: DFT, GGA-PBE
State: relaxed

E above lowest polymorph in meV per atom: 413
Energy of formation in eV/atom: 1.136
Symmetry: Pm-3m (221)
Final energy in eV/cell: -20.60
D(E_F) in states/eV per cell: 9.36

abc: 4.5309 4.5309 4.5309
angles: 90.00 90.00 90.00
Each line ends with the local moment (μB).
Atoms (fractional coordinates):
Ni1 0.0000 0.5000 0.0000  0.57
Ni2 0.0000 0.0000 0.5000  0.90
Ni3 0.5000 0.0000 0.0000  0.37
Al1 0.5000 0.5000 0.5000  -0.01
Pd1 0.0000 0.0000 0.0000  0.36


[4]
Material: Al2NiPd8
Method: DFT, GGA-PBE
State: relaxed

E above lowest polymorph in meV per atom: 234
Energy of formation in eV/atom: -0.187
Symmetry: C2/m (12)
Final energy in eV/cell: -56.87
D(E_F) in states/eV per cell: 11.65

abc: 4.6974 6.8157 6.8157
angles: 56.60 76.44 76.44
Atoms (fractional coordinates):
Al1 0.5045 0.8691 0.8691
Al2 0.4955 0.1309 0.1309
Ni1 0.0000 0.0000 0.0000
Pd1 0.2255 0.3614 0.7740
Pd2 0.7745 0.2260 0.6386
Pd3 0.0821 0.7769 0.7769
Pd4 0.9179 0.2231 0.2231
Pd5 0.2255 0.7740 0.3614
Pd6 0.7745 0.6386 0.2260
Pd7 0.6702 0.6493 0.6493
Pd8 0.3298 0.3507 0.3507


[5]
Material: Al6NiPd
Method: DFT, GGA-PBE
State: relaxed

Energy of formation in eV/atom: -0.284
Symmetry: C2/m (12)
Final energy in eV/cell: -35.70
D(E_F) in states/eV per cell: 3.25

abc: 4.1452 6.9359 6.8961
angles: 59.81 72.85 54.10
Atoms (fractional coordinates):
Al1 0.7435 0.4358 0.6423
Al2 0.7435 0.0781 0.3577
Al3 0.2565 0.9219 0.6423
Al4 0.2565 0.5642 0.3577
Al5 0.7608 0.7384 0.0000
Al6 0.2392 0.2616 0.0000
Ni1 0.5000 0.5000 0.0000
Pd1 0.0000 0.0000 0.0000


[6]
Material: Al8Ni2Pd
Method: DFT, GGA-PBE
State: relaxed

Energy of formation in eV/atom: -0.341
Symmetry: Immm (71)
Final energy in eV/cell: -50.44
D(E_F) in states/eV per cell: 5.00

abc: 3.9703 6.9257 7.1530

Beginning Sunday, August 16, 2009 - We will begin a healthy family competition of sorts. Goal is to aim to exercise daily and include some strength or resistance type of exercises as well each week. Our deadline date is December 19. After that we will all be converging to ND for Christmas. At this time the deal is...the 3 people with the LEAST number of exercise minutes will have to do the dishes for the Christmas meal.

Send me your weekly totals by Sunday night of each week and I will post a running tally on this blog site.

Happy exercising! :)